10 Most Stressful Anime Series of All Time, Ranked
The most stressful anime series feature high stakes, incredible plot twists, and a great deal of action, drama, or both.
The most stressful anime series feature high stakes, incredible plot twists, and a great deal of action, drama, or both.
With so many shows ending, now is the perfect time to watch some anime movies on Crunchyroll. These short films are some of the best.
These PS1 games had intro sequences so incredible that they've lingered on in the minds of fans, even after decades have passed in the real world.
According to PriceCharting, Phantasy Star and Alex Kidd in Shinobi World are among the rarest Sega Master System games.
Some Sailor Moon characters are easily defeated, have heartbreaking & unfair deaths, or die too soon after their redemption arc.
Gi-Hun ruined his likability as a character in Squid Game Season 1, but his actions in Season 2 have helped redeem him in many ways.
Plenty of action anime feature women who can match the men on the battlefield — or even surpass them.
Specific plotlines and situations could turn potential fans off from enjoying even the most beloved shojo anime series.
Over the years, DC Comics has created dozens of memorable superhero teams, from the famous Justice League to many lesser-known teams.
Dragon Ball’s worst jobbers, from Krillin to Piccolo, merely serve as a momentary distraction for the villain to make the main combatants look better.
Seinfeld is arguably one of the greatest TV sitcoms of all time. However, there are some parts of the show that make no sense.
Some of the best movies of all time are the ones that offered a shocking twist for the audience.
Dungeons & Dragons provides narrative inspiration at every turn, and these magical items can easily be the basis for a campaign to be built around.
Hunter X Hunter is among the darkest battle shonen anime, and the evil acts committed by its worst villains prove it.
<<<
Entry one
The following is a GGA+U calculation of crystalline AsWI2O at its relaxed geometry, from Alexandria via LeMat-Bulk.

Cell and atoms, written as CIF:
```
data_AsWI2O
_chemical_formula_sum 'As1 W1 I2 O1'
_space_group_name_H-M_alt 'P 1'
_space_group_IT_number 1
_cell_length_a 5.948
_cell_length_b 5.948
_cell_length_c 3.853
_cell_angle_alpha 90.00
_cell_angle_beta 90.00
_cell_angle_gamma 90.00
loop_
_space_group_symop_operation_xyz
'x,y,z'
loop_
_atom_site_label
_atom_site_type_symbol
_atom_site_fract_x
_atom_site_fract_y
_atom_site_fract_z
_atom_site_occupancy
I1 I 0.500 0.000 0.000 1
I2 I 0.000 0.500 0.000 1
As1 As 0.000 0.000 0.000 1
O1 O 0.000 0.000 0.500 1
W1 W 0.500 0.500 0.500 1
```

Properties
The calculation puts the density of states at the Fermi level at 0.377 states/eV per atom. The space group is No. 123. The crystal system is tetragonal.

***

Entry two
The following is a GGA+U calculation of crystalline AsWI2O at its relaxed geometry, from Alexandria via LeMat-Bulk.

Cell and atoms, written as CIF:
```
data_AsWI2O
_chemical_formula_sum 'As1 W1 I2 O1'
_space_group_name_H-M_alt 'P 1'
_space_group_IT_number 1
_cell_length_a 5.885
_cell_length_b 5.885
_cell_length_c 3.861
_cell_angle_alpha 90.00
_cell_angle_beta 90.00
_cell_angle_gamma 90.00
loop_
_space_group_symop_operation_xyz
'x,y,z'
loop_
_atom_site_label
_atom_site_type_symbol
_atom_site_fract_x
_atom_site_fract_y
_atom_site_fract_z
_atom_site_occupancy
I1 I 0.500 0.000 0.000 1
I2 I 0.000 0.500 0.000 1
W1 W 0.000 0.000 0.000 1
As1 As 0.500 0.500 0.500 1
O1 O 0.000 0.000 0.500 1
```

Properties
The calculation puts the density of states at the Fermi level at 0.429 states/eV per atom. The space group is No. 123. The crystal system is tetragonal.

***

Which of them is least stable? Easy: entry one.

* * * * *

(1)
VASP calculation (PBE) on CoRuPt2 after structural relaxation.

Lattice parameters (Å, degrees): 4.724 2.717 4.725 90.00 109.74 90.00
Positions (direct):
Co  0.000  0.000  0.000
Ru  0.000  0.500  0.500
Pt  0.500  0.000  0.500
Pt  0.500  0.500  0.000

D(E_F)   5.17 states/eV per cell
ΔE_f   75 meV per atom
Uncorrected energy   -28.2 eV per cell

(2)
VASP calculation (PBE) on Pr3Mg5Ru2 after structural relaxation.

Lattice parameters (Å, degrees): 9.571 9.571 9.571 112.68 80.59 141.07
Positions (direct):
Pr  0.174  0.218  0.393
Pr  0.250  0.250  0.000
Pr  0.326  0.718  0.044
Pr  0.674  0.282  0.956
Pr  0.750  0.750  0.000
Pr  0.826  0.782  0.607
Mg  0.051  0.750  0.301
Mg  0.076  0.718  0.794
Mg  0.250  0.750  0.500
Mg  0.424  0.218  0.641
Mg  0.449  0.750  0.699
Mg  0.551  0.250  0.301
Mg  0.576  0.782  0.359
Mg  0.750  0.250  0.500
Mg  0.924  0.282  0.206
Mg  0.949  0.250  0.699
Ru  0.161  0.939  0.100
Ru  0.339  0.439  0.778
Ru  0.661  0.561  0.222
Ru  0.839  0.061  0.900

D(E_F)   15.59 states/eV per cell
ΔE_f   -40 meV per atom
Uncorrected energy   -82.5 eV per cell

(3)
VASP calculation (PBE) on TbNdZnNi after structural relaxation.
>>>
According to PriceCharting, The House of the Dead and Panzer Dragoon Saga are among the rarest Sega Saturn games.
The 2010s provided a stellar list of anime for mecha anime fans to sink their teeth into.
Marvel's new Ultimate Universe has been blowing fans' minds since its start, and a few key moments have stuck out as particularly excellent.
Clayface is officially out as the main villain of The Batman: Part 2; here's who Robert Pattinson's Batman could fight instead in the upcoming film.
Several well-known anime might be silly, but some of them are hilariously dumb through either intentional comedy or unintended terrible quality.
The Transformers franchise is no stranger to death within its stories, but, the comics in particular are known to have the most shocking deaths ever.
2015 was jam-packed with high-quality anime, and these 7 titles are the cream of the crop.